Material:
........
Record 1
TcHg2Ir | PBE | optimized geometry

## Properties
SG: P2/m, No. 10

POSCAR file:
```
TcHg2Ir
1.0
-3.3772 -3.4081 -0.7128
2.0544 -2.0344 -0.0066
-0.4471 -0.6050 5.0113
Hg Tc Ir
2 1 1
direct
0.0000 0.4837 0.5002
0.0000 0.0163 0.9998
0.5000 0.7500 0.7500
0.5000 0.2500 0.2500
```

---

Record 2
TcHg2Ir | PBE | optimized geometry

## Properties
SG: I4/mmm, No. 139

POSCAR file:
```
TcHg2Ir
1.0
5.0303 -0.0205 0.0000
1.5329 4.7911 0.0000
-3.2816 -2.3853 2.9742
Tc Ir Hg
1 1 2
direct
0.7500 0.2500 0.5000
0.2500 0.7500 0.5000
0.0000 0.0000 0.0000
0.5000 0.5000 0.0000
```

---

Record 3
TcHgIr2 | PBE | optimized geometry

## Properties
SG: P4mm, No. 99

POSCAR file:
```
TcHgIr2
1.0
-0.6398 2.6223 0.7396
-2.5356 -0.2950 -1.1474
-2.9022 -2.7136 7.1108
Hg Ir Tc
1 2 1
direct
0.5000 0.5000 0.7495
0.5000 0.5000 0.2555
0.0000 0.0000 0.0199
0.0000 0.0000 0.4751
```

---

Record 4
TcHg2Ir | PBE | optimized geometry

## Properties
SG: Fm-3m, No. 225

POSCAR file:
```
TcHg2Ir
1.0
0.0000 3.2876 3.2876
3.2876 0.0000 3.2876
3.2876 3.2876 0.0000
Hg Tc Ir
2 1 1
direct
0.2500 0.2500 0.2500
0.7500 0.7500 0.7500
0.0000 0.0000 0.0000
0.5000 0.5000 0.5000
```

---

| no. | Fermi-level density of states (states/eV/cell) | energy relative to the elements (meV per atom) |
| --- | --- | --- |
| 1 | 3.645 | 660.8 |
| 2 | 2.314 | 706.2 |
| 3 | 3.518 | 283.6 |
| 4 | 1.694 | 728.1 |

----------

Record 1
DFT (GGA-PBE) results for a geometry-optimized GaFeRe2Se structure.

Unit cell a=4.489 b=4.489 c=4.393 alpha=90.00 beta=90.00 gamma=90.00
Sites, in units of the cell vectors:
Ga (0.000, 0.000, 0.000)
Fe (0.000, 0.000, 0.500)
Re (0.000, 0.500, 0.500)
Re (0.500, 0.000, 0.500)
Se (0.500, 0.500, 0.000)

Density = 10.824 g/cm³
E_form (uncorrected) = 1.230 eV/atom
V = 88.5 Å³/f.u.
Spin magnetization = 0.00 μB per cell
Symmetry = P4/mmm, No. 123

Record 2
DFT (GGA-PBE) results for a geometry-optimized Be2GeSe structure.

Unit cell a=6.105 b=6.105 c=6.105 alpha=126.82 beta=126.82 gamma=78.55
Sites, in units of the cell vectors:
Be (0.105, 0.625, 0.980)
Be (0.375, 0.355, 0.480)
Be (0.645, 0.125, 0.020)
Be (0.875, 0.895, 0.520)
Ge (0.250, 0.750, 0.500)
Ge (0.500, 0.500, 0.000)
Se (0.000, 0.000, 0.000)
Se (0.750, 0.250, 0.500)

Density = 3.991 g/cm³
Energy above the most stable polymorph in this dataset = 0.0 meV per atom
E_form (uncorrected) = 0.043 eV/atom
V = 70.6 Å³/f.u.
Spin magnetization = 0.00 μB per cell
Symmetry = I-42d, No. 122

Record 3
DFT (GGA-PBE) results for a geometry-optimized CaCoW2 structure.

Unit cell a=8.900 b=8.900 c=8.900 alpha=148.24 beta=148.24 gamma=45.53
Sites, in units of the cell vectors:
Ca (0.000, 0.000, 0.000)
Ca (0.750, 0.250, 0.500)
Co (0.250, 0.750, 0.500)
Co (0.500, 0.500, 0.000)
W (0.365, 0.625, 0.240)
W (0.375, 0.615, 0.740)
W (0.385, 0.125, 0.760)
W (0.875, 0.635, 0.260)

Density = 7.961 g/cm³
Energy above the most stable polymorph in this dataset = 830.8 meV per atom
V = 97.3 Å³/f.u.
Spin magnetization = 0.00 μB per cell
DFT formation energy = 1313 meV/atom
Symmetry = I-42d, No. 122

Record 4
DFT (GGA-PBE) results for a geometry-optimized HfTa2B2Ru5 structure.

Unit cell a=9.467 b=9.467 c=3.057 alpha=90.00 beta=90.00 gamma=90.00
Sites, in units of the cell vectors:
Hf (0.000, 0.000, 0.000)
Hf (0.500, 0.500, 0.000)
Ta (0.177, 0.323, 0.000)
Ta (0.323, 0.823, 0.000)
Ta (0.677, 0.177, 0.000)
Ta (0.823, 0.677, 0.000)
B (0.122, 0.622, 0.000)
B (0.378, 0.122, 0.000)
B (0.622, 0.878, 0.000)
B (0.878, 0.378, 0.000)
Ru (0.000, 0.500, 0.500)
Ru (0.072, 0.779, 0.500)
Ru (0.221, 0.072, 0.500)
Ru (0.279, 0.572, 0.500)
Ru (0.428, 0.279, 0.500)
Ru (0.500, 0.000, 0.500)
Ru (0.572, 0.721, 0.500)
Ru (0.721, 0.428, 0.500)
Ru (0.779, 0.928, 0.500)
Ru (0.928, 0.221, 0.500)

Density = 12.938 g/cm³
V = 137.0 Å³/f.u.
Spin magnetization = 0.00 μB per cell
DFT formation energy = -553 meV/atom
Symmetry = P4/mbm, No. 127

Record 5
DFT (GGA-PBE) results for a geometry-optimized YMg2Zn structure.
........
Activity:
It remains to restate everything further up verbatim.
Result:
Record 1
TcHg2Ir | PBE | optimized geometry

## Properties
SG: P2/m, No. 10

POSCAR file:
```
TcHg2Ir
1.0
-3.3772 -3.4081 -0.7128
2.0544 -2.0344 -0.0066
-0.4471 -0.6050 5.0113
Hg Tc Ir
2 1 1
direct
0.0000 0.4837 0.5002
0.0000 0.0163 0.9998
0.5000 0.7500 0.7500
0.5000 0.2500 0.2500
```

---

Record 2
TcHg2Ir | PBE | optimized geometry

## Properties
SG: I4/mmm, No. 139

POSCAR file:
```
TcHg2Ir
1.0
5.0303 -0.0205 0.0000
1.5329 4.7911 0.0000
-3.2816 -2.3853 2.9742
Tc Ir Hg
1 1 2
direct
0.7500 0.2500 0.5000
0.2500 0.7500 0.5000
0.0000 0.0000 0.0000
0.5000 0.5000 0.0000
```

---

Record 3
TcHgIr2 | PBE | optimized geometry

## Properties
SG: P4mm, No. 99

POSCAR file:
```
TcHgIr2
1.0
-0.6398 2.6223 0.7396
-2.5356 -0.2950 -1.1474
-2.9022 -2.7136 7.1108
Hg Ir Tc
1 2 1
direct
0.5000 0.5000 0.7495
0.5000 0.5000 0.2555
0.0000 0.0000 0.0199
0.0000 0.0000 0.4751
```

---

Record 4
TcHg2Ir | PBE | optimized geometry

## Properties
SG: Fm-3m, No. 225

POSCAR file:
```
TcHg2Ir
1.0
0.0000 3.2876 3.2876
3.2876 0.0000 3.2876
3.2876 3.2876 0.0000
Hg Tc Ir
2 1 1
direct
0.2500 0.2500 0.2500
0.7500 0.7500 0.7500
0.0000 0.0000 0.0000
0.5000 0.5000 0.5000
```

---

| no. | Fermi-level density of states (states/eV/cell) | energy relative to the elements (meV per atom) |
| --- | --- | --- |
| 1 | 3.645 | 660.8 |
| 2 | 2.314 | 706.2 |
| 3 | 3.518 | 283.6 |
| 4 | 1.694 | 728.1 |

----------

Record 1
DFT (GGA-PBE) results for a geometry-optimized GaFeRe2Se structure.

Unit cell a=4.489 b=4.489 c=4.393 alpha=90.00 beta=90.00 gamma=90.00
Sites, in units of the cell vectors:
Ga (0.000, 0.000, 0.000)
Fe (0.000, 0.000, 0.500)
Re (0.000, 0.500, 0.500)
Re (0.500, 0.000, 0.500)
Se (0.500, 0.500, 0.000)

Density = 10.824 g/cm³
E_form (uncorrected) = 1.230 eV/atom
V = 88.5 Å³/f.u.
Spin magnetization = 0.00 μB per cell
Symmetry = P4/mmm, No. 123

Record 2
DFT (GGA-PBE) results for a geometry-optimized Be2GeSe structure.

Unit cell a=6.105 b=6.105 c=6.105 alpha=126.82 beta=126.82 gamma=78.55
Sites, in units of the cell vectors:
Be (0.105, 0.625, 0.980)
Be (0.375, 0.355, 0.480)
Be (0.645, 0.125, 0.020)
Be (0.875, 0.895, 0.520)
Ge (0.250, 0.750, 0.500)
Ge (0.500, 0.500, 0.000)
Se (0.000, 0.000, 0.000)
Se (0.750, 0.250, 0.500)

Density = 3.991 g/cm³
Energy above the most stable polymorph in this dataset = 0.0 meV per atom
E_form (uncorrected) = 0.043 eV/atom
V = 70.6 Å³/f.u.
Spin magnetization = 0.00 μB per cell
Symmetry = I-42d, No. 122

Record 3
DFT (GGA-PBE) results for a geometry-optimized CaCoW2 structure.

Unit cell a=8.900 b=8.900 c=8.900 alpha=148.24 beta=148.24 gamma=45.53
Sites, in units of the cell vectors:
Ca (0.000, 0.000, 0.000)
Ca (0.750, 0.250, 0.500)
Co (0.250, 0.750, 0.500)
Co (0.500, 0.500, 0.000)
W (0.365, 0.625, 0.240)
W (0.375, 0.615, 0.740)
W (0.385, 0.125, 0.760)
W (0.875, 0.635, 0.260)

Density = 7.961 g/cm³
Energy above the most stable polymorph in this dataset = 830.8 meV per atom
V = 97.3 Å³/f.u.
Spin magnetization = 0.00 μB per cell
DFT formation energy = 1313 meV/atom
Symmetry = I-42d, No. 122

Record 4
DFT (GGA-PBE) results for a geometry-optimized HfTa2B2Ru5 structure.

Unit cell a=9.467 b=9.467 c=3.057 alpha=90.00 beta=90.00 gamma=90.00
Sites, in units of the cell vectors:
Hf (0.000, 0.000, 0.000)
Hf (0.500, 0.500, 0.000)
Ta (0.177, 0.323, 0.000)
Ta (0.323, 0.823, 0.000)
Ta (0.677, 0.177, 0.000)
Ta (0.823, 0.677, 0.000)
B (0.122, 0.622, 0.000)
B (0.378, 0.122, 0.000)
B (0.622, 0.878, 0.000)
B (0.878, 0.378, 0.000)
Ru (0.000, 0.500, 0.500)
Ru (0.072, 0.779, 0.500)
Ru (0.221, 0.072, 0.500)
Ru (0.279, 0.572, 0.500)
Ru (0.428, 0.279, 0.500)
Ru (0.500, 0.000, 0.500)
Ru (0.572, 0.721, 0.500)
Ru (0.721, 0.428, 0.500)
Ru (0.779, 0.928, 0.500)
Ru (0.928, 0.221, 0.500)

Density = 12.938 g/cm³
V = 137.0 Å³/f.u.
Spin magnetization = 0.00 μB per cell
DFT formation energy = -553 meV/atom
Symmetry = P4/mbm, No. 127

Record 5
DFT (GGA-PBE) results for a geometry-optimized YMg2Zn structure.